Exercise =
Please reproduce the lines further down up to the one that holds "O33 0.680", that line included.

File =
********
[1]
## Sm3V5O12 (GGA+U)

Data for Sm3V5O12 after structural relaxation.

Calculated values
E_tot: -645.87 eV per cell
total magnetic moment: 10.000 μB per formula unit

Unit cell a=11.038 b=11.038 c=11.038 alpha=109.47 beta=109.47 gamma=109.47
Element x y z (fractional)
Sm1 0.125 0.250 0.375
Sm2 0.125 0.375 0.750
Sm3 0.250 0.375 0.125
Sm4 0.250 0.875 0.625
Sm5 0.375 0.125 0.250
Sm6 0.375 0.750 0.125
Sm7 0.625 0.250 0.875
Sm8 0.625 0.875 0.750
Sm9 0.750 0.125 0.375
Sm10 0.750 0.625 0.875
Sm11 0.875 0.625 0.250
Sm12 0.875 0.750 0.625
V1 0.000 0.000 0.000
V2 0.000 0.000 0.500
V3 0.000 0.500 0.000
V4 0.000 0.500 0.500
V5 0.125 0.750 0.875
V6 0.125 0.875 0.250
V7 0.250 0.125 0.875
V8 0.250 0.625 0.375
V9 0.375 0.250 0.625
V10 0.375 0.625 0.750
V11 0.500 0.000 0.000
V12 0.500 0.000 0.500
V13 0.500 0.500 0.000
V14 0.500 0.500 0.500
V15 0.625 0.375 0.250
V16 0.625 0.750 0.375
V17 0.750 0.375 0.625
V18 0.750 0.875 0.125
V19 0.875 0.125 0.750
V20 0.875 0.250 0.125
O1 0.028 0.208 0.124
O2 0.028 0.320 0.904
O3 0.084 0.708 0.680
O4 0.084 0.876 0.404
O5 0.096 0.624 0.416
O6 0.096 0.972 0.680
O7 0.124 0.028 0.208
O8 0.124 0.596 0.916
O9 0.180 0.208 0.584
O10 0.180 0.472 0.596
O11 0.208 0.124 0.028
O12 0.208 0.584 0.180
O13 0.292 0.320 0.916
O14 0.292 0.472 0.376
O15 0.320 0.904 0.028
O16 0.320 0.916 0.292
O17 0.376 0.292 0.472
O18 0.376 0.584 0.904
O19 0.404 0.084 0.876
O20 0.404 0.820 0.528
O21 0.416 0.096 0.624
O22 0.416 0.820 0.792
O23 0.472 0.376 0.292
O24 0.472 0.596 0.180
O25 0.528 0.404 0.820
O26 0.528 0.624 0.708
O27 0.584 0.180 0.208
O28 0.584 0.904 0.376
O29 0.596 0.180 0.472
O30 0.596 0.916 0.124
O31 0.624 0.416 0.096
O32 0.624 0.708 0.528
O33 0.680 0.084 0.708
O34 0.680 0.096 0.972
O35 0.708 0.528 0.624
O36 0.708 0.680 0.084
O37 0.792 0.416 0.820
O38 0.792 0.876 0.972
O39 0.820 0.528 0.404
O40 0.820 0.792 0.416
O41 0.876 0.404 0.084
O42 0.876 0.972 0.792
O43 0.904 0.028 0.320
O44 0.904 0.376 0.584
O45 0.916 0.124 0.596
O46 0.916 0.292 0.320
O47 0.972 0.680 0.096
O48 0.972 0.792 0.876


[2]
## SmVO5 (GGA+U)

Data for SmVO5 after structural relaxation.

Calculated values
E_tot: -100.23 eV per cell
total magnetic moment: 2.003 μB per formula unit

Unit cell a=5.551 b=5.551 c=7.572 alpha=108.89 beta=108.89 gamma=70.85
Element x y z (fractional)
Sm1 0.060 0.940 0.750
Sm2 0.940 0.060 0.250
V1 0.500 0.500 0.000
V2 0.500 0.500 0.500
O1 0.205 0.776 0.036
O2 0.224 0.795 0.464
O3 0.254 0.306 0.393
O4 0.306 0.254 0.893
O5 0.435 0.565 0.750
O6 0.565 0.435 0.250
O7 0.694 0.746 0.107
O8 0.746 0.694 0.607
O9 0.776 0.205 0.536
O10 0.795 0.224 0.964


[3]
## SmV2WO8 (GGA+U)

Data for SmV2WO8 after structural relaxation.

Calculated values
E_tot: -93.54 eV per cell
total magnetic moment: 3.000 μB per formula unit

Unit cell a=4.755 b=4.755 c=6.504 alpha=90.00 beta=90.00 gamma=91.69
Element x y z (fractional)
Sm1 0.000 0.000 0.000
V1 0.500 0.500 0.247
V2 0.500 0.500 0.753
W1 0.000 0.000 0.500
O1 0.205 0.205 0.287
O2 0.205 0.205 0.713
O3 0.292 0.708 0.500
O4 0.329 0.671 0.000
O5 0.671 0.329 0.000
O6 0.708 0.292 0.500
O7 0.795 0.795 0.287
O8 0.795 0.795 0.713


[4]
## SmWO4 (GGA+U)

Data for SmWO4 after structural relaxation.

Calculated values
E_tot: -187.66 eV per cell
total magnetic moment: 1.000 μB per formula unit

Unit cell a=6.237 b=3.373 c=16.999 alpha=90.00 beta=90.00 gamma=90.00
Element x y z (fractional)
Sm1 0.186 0.250 0.175
Sm2 0.314 0.750 0.675
Sm3 0.686 0.250 0.325
Sm4 0.814 0.750 0.825
W1 0.218 0.750 0.383
W2 0.282 0.250 0.883
W3 0.718 0.750 0.117
W4 0.782 0.250 0.617
O1 0.024 0.750 0.104
O2 0.056 0.250 0.671
O3 0.156 0.250 0.444
O4 0.200 0.750 0.804
O5 0.300 0.250 0.304
O6 0.344 0.750 0.944
O7 0.444 0.750 0.171
O8 0.476 0.250 0.604
O9 0.524 0.750 0.396
O10 0.556 0.250 0.829
O11 0.656 0.250 0.056
O12 0.700 0.750 0.696
O13 0.800 0.250 0.196
O14 0.844 0.750 0.556
O15 0.944 0.750 0.329
O16 0.976 0.250 0.896

~~~~~

A relaxed structure of AlCu2Ru2. Source: Alexandria, functional PBE-GGA.

Cell: 6.4208 6.4208 3.5243 Å, 90.00 90.00 90.00°
********

Solution =
[1]
## Sm3V5O12 (GGA+U)

Data for Sm3V5O12 after structural relaxation.

Calculated values
E_tot: -645.87 eV per cell
total magnetic moment: 10.000 μB per formula unit

Unit cell a=11.038 b=11.038 c=11.038 alpha=109.47 beta=109.47 gamma=109.47
Element x y z (fractional)
Sm1 0.125 0.250 0.375
Sm2 0.125 0.375 0.750
Sm3 0.250 0.375 0.125
Sm4 0.250 0.875 0.625
Sm5 0.375 0.125 0.250
Sm6 0.375 0.750 0.125
Sm7 0.625 0.250 0.875
Sm8 0.625 0.875 0.750
Sm9 0.750 0.125 0.375
Sm10 0.750 0.625 0.875
Sm11 0.875 0.625 0.250
Sm12 0.875 0.750 0.625
V1 0.000 0.000 0.000
V2 0.000 0.000 0.500
V3 0.000 0.500 0.000
V4 0.000 0.500 0.500
V5 0.125 0.750 0.875
V6 0.125 0.875 0.250
V7 0.250 0.125 0.875
V8 0.250 0.625 0.375
V9 0.375 0.250 0.625
V10 0.375 0.625 0.750
V11 0.500 0.000 0.000
V12 0.500 0.000 0.500
V13 0.500 0.500 0.000
V14 0.500 0.500 0.500
V15 0.625 0.375 0.250
V16 0.625 0.750 0.375
V17 0.750 0.375 0.625
V18 0.750 0.875 0.125
V19 0.875 0.125 0.750
V20 0.875 0.250 0.125
O1 0.028 0.208 0.124
O2 0.028 0.320 0.904
O3 0.084 0.708 0.680
O4 0.084 0.876 0.404
O5 0.096 0.624 0.416
O6 0.096 0.972 0.680
O7 0.124 0.028 0.208
O8 0.124 0.596 0.916
O9 0.180 0.208 0.584
O10 0.180 0.472 0.596
O11 0.208 0.124 0.028
O12 0.208 0.584 0.180
O13 0.292 0.320 0.916
O14 0.292 0.472 0.376
O15 0.320 0.904 0.028
O16 0.320 0.916 0.292
O17 0.376 0.292 0.472
O18 0.376 0.584 0.904
O19 0.404 0.084 0.876
O20 0.404 0.820 0.528
O21 0.416 0.096 0.624
O22 0.416 0.820 0.792
O23 0.472 0.376 0.292
O24 0.472 0.596 0.180
O25 0.528 0.404 0.820
O26 0.528 0.624 0.708
O27 0.584 0.180 0.208
O28 0.584 0.904 0.376
O29 0.596 0.180 0.472
O30 0.596 0.916 0.124
O31 0.624 0.416 0.096
O32 0.624 0.708 0.528
O33 0.680 0.084 0.708